[1]
Crystalline Tl2SiIr at its relaxed geometry, computed with PBE.

- Formation energy from raw total energies: 0.7405 eV per atom
- N(E_F): 0.520 states/eV/atom

CIF file:
```
data_Tl2SiIr
_cell_length_a 4.488
_cell_length_b 4.488
_cell_length_c 4.038
_cell_angle_alpha 90.00
_cell_angle_beta 90.00
_cell_angle_gamma 90.00
_space_group_name_H-M_alt 'P 4/m m m'
_space_group_IT_number 123
_space_group_name_Hall '-P 4 2'
loop_
_atom_site_label
_atom_site_type_symbol
_atom_site_fract_x
_atom_site_fract_y
_atom_site_fract_z
Tl1 Tl 0.000 0.500 0.000
Si1 Si 0.000 0.000 0.500
Ir1 Ir 0.500 0.500 0.500
```

[2]
Crystalline Tl2SiIr at its relaxed geometry, computed with PBE.

- Formation energy from raw total energies: 0.6760 eV per atom
- N(E_F): 0.493 states/eV/atom

CIF file:
```
data_Tl2SiIr
_cell_length_a 10.100
_cell_length_b 3.527
_cell_length_c 4.591
_cell_angle_alpha 90.00
_cell_angle_beta 93.41
_cell_angle_gamma 90.00
_space_group_name_H-M_alt 'C 1 2/m 1'
_space_group_IT_number 12
loop_
_space_group_symop_operation_xyz
'x,y,z'
'-x,-y,-z'
'-x,y,-z'
'x,-y,z'
'x+1/2,y+1/2,z'
'-x+1/2,-y+1/2,-z'
'-x+1/2,y+1/2,-z'
'x+1/2,-y+1/2,z'
loop_
_atom_site_label
_atom_site_type_symbol
_atom_site_fract_x
_atom_site_fract_y
_atom_site_fract_z
Tl1 Tl 0.238 0.000 0.244
Si1 Si 0.000 0.000 0.500
Ir1 Ir 0.000 0.500 0.000
```

~~~~~

Below is an optimized crystal structure of Na2PuTiS4, with properties calculated at the PBE level.

ΔE_f (raw) ... -1.42 eV per atom
Volume ... 20.94 Å³ per atom
Magnetic moment ... 6.004 μB per formula unit

abc: 6.5627 3.8215 7.0324
angles: 90.00 108.25 90.00
Fractional coordinates of all 8 atoms:
Na 0.0000 0.0000 0.0000
Na 0.5000 0.5000 0.0000
Pu 0.0000 0.5000 0.5000
Ti 0.5000 0.0000 0.5000
S 0.2621 0.0000 0.7234
S 0.2808 0.5000 0.2863
S 0.7192 0.5000 0.7137
S 0.7379 0.0000 0.2766

Below is an optimized crystal structure of Na3Pu3TlS8, with properties calculated at the PBE level.

ΔE_f (raw) ... -1.24 eV per atom
Volume ... 24.65 Å³ per atom
Magnetic moment ... 13.809 μB per formula unit

abc: 8.0708 8.0708 8.0708
angles: 59.77 59.77 59.77
Fractional coordinates of all 15 atoms:
Na 0.0000 0.5000 0.5000
Na 0.5000 0.0000 0.5000
Na 0.5000 0.5000 0.0000
Pu 0.0000 0.0000 0.5000
Pu 0.0000 0.5000 0.0000
Pu 0.5000 0.0000 0.0000
Tl 0.5000 0.5000 0.5000
S 0.2299 0.7470 0.7470
S 0.2417 0.2417 0.2417
S 0.2530 0.2530 0.7701
S 0.2530 0.7701 0.2530
S 0.7470 0.2299 0.7470
S 0.7470 0.7470 0.2299
S 0.7583 0.7583 0.7583
S 0.7701 0.2530 0.2530

Below is an optimized crystal structure of Na3TmPu2S6, with properties calculated at the PBE level.

ΔE_f (raw) ... -1.64 eV per atom
Volume ... 23.09 Å³ per atom
Magnetic moment ... 10.000 μB per formula unit

abc: 6.9403 6.9403 7.0343
angles: 99.47 99.47 120.00
Fractional coordinates of all 12 atoms:
Na 0.0000 0.0000 0.0000
Na 0.3331 0.6669 0.0000
Na 0.6669 0.3331 0.0000
Tm 0.5000 0.5000 0.5000
Pu 0.1667 0.8333 0.5000
Pu 0.8333 0.1667 0.5000
S 0.0960 0.4246 0.2740
S 0.2466 0.2466 0.7255
S 0.4246 0.0960 0.2740
S 0.5754 0.9040 0.7260
S 0.7534 0.7534 0.2745
S 0.9040 0.5754 0.7260

Below is an optimized crystal structure of Na3Tm3PuS8, with properties calculated at the PBE level.

ΔE_f (raw) ... -1.74 eV per atom
Volume ... 24.05 Å³ per atom
Magnetic moment ... 4.000 μB per formula unit

abc: 8.1083 8.1083 8.1083
angles: 58.12 58.12 58.12
Fractional coordinates of all 15 atoms:
Na 0.0000 0.5000 0.5000
Na 0.5000 0.0000 0.5000
Na 0.5000 0.5000 0.0000
Tm 0.0000 0.0000 0.5000
Tm 0.0000 0.5000 0.0000
Tm 0.5000 0.0000 0.0000
Pu 0.5000 0.5000 0.5000
S 0.2411 0.2411 0.2411
S 0.2419 0.7383 0.7383
S 0.2617 0.2617 0.7581
S 0.2617 0.7581 0.2617
S 0.7383 0.2419 0.7383
S 0.7383 0.7383 0.2419
S 0.7581 0.2617 0.2617
S 0.7589 0.7589 0.7589

Below is an optimized crystal structure of Na2Tm2PuS6, with properties calculated at the PBE level.

ΔE_f (raw) ... -1.70 eV per atom
Volume ... 24.70 Å³ per atom
Magnetic moment ... 4.000 μB per formula unit

abc: 6.8222 6.8222 7.1098
angles: 99.17 99.17 119.99

Your job: filter the contents earlier on: keep the lines with the word "geometry".

Crystalline Tl2SiIr at its relaxed geometry, computed with PBE.
Crystalline Tl2SiIr at its relaxed geometry, computed with PBE.